(Exercise)
The reader should give back all of the data further below verbatim.
(Source)
(1)
This record from the Open Molecules 2025 dataset describes an isolated molecule of C9H18O2S in a non-equilibrium geometry. The level of theory is ωB97M-V/def2-TZVPD.

Results
Frontier orbital gap (spin up / spin down) ... 0.331 / 0.251 Ha
E_LUMO (spin up / spin down) ... 0.57 / -0.55 eV
Largest force on an atom ... 1.03 eV/Å
M ... 190.31 g/mol

Last column: natural (NBO) charge in e.
Element x y z (Å)
C -0.97 -1.84 -0.17  -0.620
C 0.40 -1.25 -0.48  -0.317
C 0.80 -0.15 0.45  0.210
C -1.77 1.03 -0.28  -0.166
C 1.44 -2.39 -0.45  -0.593
C 1.73 0.88 -0.07  -0.689
C 0.53 -0.24 1.90  -0.725
C -1.77 2.07 0.77  -0.685
C -1.58 1.32 -1.71  -0.687
O -2.57 -0.63 1.56  -0.967
O -3.38 -0.99 -0.75  -0.956
S -2.31 -0.58 0.14  2.122
H -1.33 -2.45 -0.99  0.247
H -0.96 -2.42 0.75  0.242
H 0.39 -0.85 -1.50  0.211
H 1.49 -2.83 0.54  0.206
H 2.43 -2.00 -0.71  0.211
H 1.18 -3.16 -1.17  0.214
H 2.43 0.45 -0.79  0.217
H 2.29 1.36 0.73  0.220
H 1.18 1.67 -0.61  0.217
H 1.19 -0.98 2.37  0.218
H -0.49 -0.54 2.11  0.259
H 0.72 0.72 2.39  0.220
H -1.88 1.60 1.74  0.256
H -2.61 2.77 0.63  0.228
H -0.86 2.67 0.74  0.217
H -0.54 1.59 -1.94  0.217
H -2.20 2.16 -2.04  0.233
H -1.86 0.45 -2.30  0.241

(2)
This record from the Open Molecules 2025 dataset describes C18H19F3N6ORuS2Se as an isolated structure. The level of theory is ωB97M-V/def2-TZVPD.

Results
Total charge ... -1
<S²> ... 0.759
Frontier orbital gap (spin up / spin down) ... 0.237 / 0.206 Ha
Multiplicity ... 2
E_LUMO (spin up / spin down) ... 2.35 / 1.59 eV
Largest force on an atom ... 0.50 eV/Å
M ... 636.55 g/mol

Last column: Löwdin spin population.
Element x y z (Å)
Ru 0.27 -0.29 0.40  0.032
N -2.67 -0.28 3.64  0.001
C -1.88 -0.30 2.52  0.001
S -0.19 -0.44 2.73  0.005
N -2.55 -0.26 1.37  0.000
N -1.70 -0.32 0.30  -0.001
C -2.24 -0.48 -0.87  0.000
C -1.32 -0.54 -1.98  -0.002
C -1.73 -0.74 -3.30  0.000
C -0.78 -0.80 -4.30  -0.002
C 0.56 -0.67 -3.97  0.000
C 0.90 -0.47 -2.65  -0.001
N -0.01 -0.41 -1.67  -0.001
H -2.21 -0.01 4.49  0.000
H -3.61 0.07 3.50  0.000
H -3.31 -0.56 -0.99  0.000
H -2.79 -0.85 -3.52  0.000
H -1.09 -0.96 -5.33  0.000
H 1.34 -0.72 -4.72  0.000
H 1.93 -0.36 -2.33  0.000
F 3.18 -4.63 -1.16  0.000
C 3.74 -4.11 -0.04  0.000
F 3.16 -4.72 1.00  0.000
F 5.04 -4.52 -0.05  0.000
C 3.64 -2.62 0.01  0.000
C 4.76 -1.83 -0.16  0.000
C 4.65 -0.45 -0.14  0.000
C 3.41 0.11 0.07  0.000
N 2.33 -0.65 0.25  -0.001
C 2.39 -1.99 0.19  0.000
S 0.80 -2.65 0.34  0.004
H 5.72 -2.30 -0.31  0.000
H 5.52 0.19 -0.28  0.000
H 3.23 1.18 0.11  0.000
Se 2.11 1.94 2.75  0.500
C 3.16 3.45 2.69  0.068
N 3.82 4.40 2.64  0.090
C -0.17 3.86 1.26  0.008
C 0.18 2.93 0.09  0.010
C 1.17 3.63 -0.85  0.000
C -1.11 2.62 -0.66  0.008
O 0.82 1.75 0.55  0.277
H -0.67 4.76 0.88  0.000
H 0.71 4.17 1.81  0.003
H -0.84 3.34 1.95  0.000
H 0.74 4.54 -1.28  0.000
H 1.44 2.95 -1.66  0.000
H 2.07 3.91 -0.30  -0.001
H -1.51 3.54 -1.09  0.001
H -1.86 2.20 0.01  0.000
H -0.92 1.92 -1.47  0.000

(3)
This record from the Open Molecules 2025 dataset describes C12H36FO6S6Tl as an isolated structure in a non-equilibrium geometry. The level of theory is ωB97M-V/def2-TZVPD.

Results
Total charge ... +2
Frontier orbital gap ... 0.050 Ha
E_LUMO ... -11.00 eV
Largest force on an atom ... 2.66 eV/Å
M ... 692.20 g/mol

Last column: natural (NBO) charge in e.
Element x y z (Å)
Tl -15.50 -10.51 28.56  0.998
F -12.86 -14.27 27.03  -0.410
C -20.50 -7.80 23.28  -0.842
S -19.45 -6.42 23.80  1.228
O -18.38 -7.05 24.68  -0.902
C -18.70 -6.24 22.08  -0.759
H -21.45 -7.51 22.84  0.250
H -20.70 -8.53 24.06  0.257
H -19.91 -8.48 22.66  0.235
H -18.17 -5.29 22.16  0.239
H -19.49 -6.22 21.32  0.240
H -18.11 -7.15 22.08  0.240
C -16.08 -2.89 31.56  -0.782
S -14.57 -3.43 30.56  1.223
O -15.07 -4.73 29.93  -0.927
C -14.75 -2.12 29.30  -0.824
H -16.01 -3.47 32.48  0.236
H -17.03 -3.21 31.11  0.246
H -16.07 -1.82 31.74  0.233
H -14.62 -1.15 29.77  0.241
H -15.80 -2.08 29.01  0.238
H -14.16 -2.25 28.40  0.251
C -8.08 -13.44 30.11  -0.828
S -8.80 -12.04 30.98  1.300
(Worked solution)
(1)
This record from the Open Molecules 2025 dataset describes an isolated molecule of C9H18O2S in a non-equilibrium geometry. The level of theory is ωB97M-V/def2-TZVPD.

Results
Frontier orbital gap (spin up / spin down) ... 0.331 / 0.251 Ha
E_LUMO (spin up / spin down) ... 0.57 / -0.55 eV
Largest force on an atom ... 1.03 eV/Å
M ... 190.31 g/mol

Last column: natural (NBO) charge in e.
Element x y z (Å)
C -0.97 -1.84 -0.17  -0.620
C 0.40 -1.25 -0.48  -0.317
C 0.80 -0.15 0.45  0.210
C -1.77 1.03 -0.28  -0.166
C 1.44 -2.39 -0.45  -0.593
C 1.73 0.88 -0.07  -0.689
C 0.53 -0.24 1.90  -0.725
C -1.77 2.07 0.77  -0.685
C -1.58 1.32 -1.71  -0.687
O -2.57 -0.63 1.56  -0.967
O -3.38 -0.99 -0.75  -0.956
S -2.31 -0.58 0.14  2.122
H -1.33 -2.45 -0.99  0.247
H -0.96 -2.42 0.75  0.242
H 0.39 -0.85 -1.50  0.211
H 1.49 -2.83 0.54  0.206
H 2.43 -2.00 -0.71  0.211
H 1.18 -3.16 -1.17  0.214
H 2.43 0.45 -0.79  0.217
H 2.29 1.36 0.73  0.220
H 1.18 1.67 -0.61  0.217
H 1.19 -0.98 2.37  0.218
H -0.49 -0.54 2.11  0.259
H 0.72 0.72 2.39  0.220
H -1.88 1.60 1.74  0.256
H -2.61 2.77 0.63  0.228
H -0.86 2.67 0.74  0.217
H -0.54 1.59 -1.94  0.217
H -2.20 2.16 -2.04  0.233
H -1.86 0.45 -2.30  0.241

(2)
This record from the Open Molecules 2025 dataset describes C18H19F3N6ORuS2Se as an isolated structure. The level of theory is ωB97M-V/def2-TZVPD.

Results
Total charge ... -1
<S²> ... 0.759
Frontier orbital gap (spin up / spin down) ... 0.237 / 0.206 Ha
Multiplicity ... 2
E_LUMO (spin up / spin down) ... 2.35 / 1.59 eV
Largest force on an atom ... 0.50 eV/Å
M ... 636.55 g/mol

Last column: Löwdin spin population.
Element x y z (Å)
Ru 0.27 -0.29 0.40  0.032
N -2.67 -0.28 3.64  0.001
C -1.88 -0.30 2.52  0.001
S -0.19 -0.44 2.73  0.005
N -2.55 -0.26 1.37  0.000
N -1.70 -0.32 0.30  -0.001
C -2.24 -0.48 -0.87  0.000
C -1.32 -0.54 -1.98  -0.002
C -1.73 -0.74 -3.30  0.000
C -0.78 -0.80 -4.30  -0.002
C 0.56 -0.67 -3.97  0.000
C 0.90 -0.47 -2.65  -0.001
N -0.01 -0.41 -1.67  -0.001
H -2.21 -0.01 4.49  0.000
H -3.61 0.07 3.50  0.000
H -3.31 -0.56 -0.99  0.000
H -2.79 -0.85 -3.52  0.000
H -1.09 -0.96 -5.33  0.000
H 1.34 -0.72 -4.72  0.000
H 1.93 -0.36 -2.33  0.000
F 3.18 -4.63 -1.16  0.000
C 3.74 -4.11 -0.04  0.000
F 3.16 -4.72 1.00  0.000
F 5.04 -4.52 -0.05  0.000
C 3.64 -2.62 0.01  0.000
C 4.76 -1.83 -0.16  0.000
C 4.65 -0.45 -0.14  0.000
C 3.41 0.11 0.07  0.000
N 2.33 -0.65 0.25  -0.001
C 2.39 -1.99 0.19  0.000
S 0.80 -2.65 0.34  0.004
H 5.72 -2.30 -0.31  0.000
H 5.52 0.19 -0.28  0.000
H 3.23 1.18 0.11  0.000
Se 2.11 1.94 2.75  0.500
C 3.16 3.45 2.69  0.068
N 3.82 4.40 2.64  0.090
C -0.17 3.86 1.26  0.008
C 0.18 2.93 0.09  0.010
C 1.17 3.63 -0.85  0.000
C -1.11 2.62 -0.66  0.008
O 0.82 1.75 0.55  0.277
H -0.67 4.76 0.88  0.000
H 0.71 4.17 1.81  0.003
H -0.84 3.34 1.95  0.000
H 0.74 4.54 -1.28  0.000
H 1.44 2.95 -1.66  0.000
H 2.07 3.91 -0.30  -0.001
H -1.51 3.54 -1.09  0.001
H -1.86 2.20 0.01  0.000
H -0.92 1.92 -1.47  0.000

(3)
This record from the Open Molecules 2025 dataset describes C12H36FO6S6Tl as an isolated structure in a non-equilibrium geometry. The level of theory is ωB97M-V/def2-TZVPD.

Results
Total charge ... +2
Frontier orbital gap ... 0.050 Ha
E_LUMO ... -11.00 eV
Largest force on an atom ... 2.66 eV/Å
M ... 692.20 g/mol

Last column: natural (NBO) charge in e.
Element x y z (Å)
Tl -15.50 -10.51 28.56  0.998
F -12.86 -14.27 27.03  -0.410
C -20.50 -7.80 23.28  -0.842
S -19.45 -6.42 23.80  1.228
O -18.38 -7.05 24.68  -0.902
C -18.70 -6.24 22.08  -0.759
H -21.45 -7.51 22.84  0.250
H -20.70 -8.53 24.06  0.257
H -19.91 -8.48 22.66  0.235
H -18.17 -5.29 22.16  0.239
H -19.49 -6.22 21.32  0.240
H -18.11 -7.15 22.08  0.240
C -16.08 -2.89 31.56  -0.782
S -14.57 -3.43 30.56  1.223
O -15.07 -4.73 29.93  -0.927
C -14.75 -2.12 29.30  -0.824
H -16.01 -3.47 32.48  0.236
H -17.03 -3.21 31.11  0.246
H -16.07 -1.82 31.74  0.233
H -14.62 -1.15 29.77  0.241
H -15.80 -2.08 29.01  0.238
H -14.16 -2.25 28.40  0.251
C -8.08 -13.44 30.11  -0.828
S -8.80 -12.04 30.98  1.300